Doctoral Hooding Information

== Someone pasted data records at this point ==
=====
1.
{
  "formula": "C4H3F3",
  "method": "ωB97M-V with the def2-TZVPD basis set",
  "species": ["F", "C", "C", "C", "F", "C", "F", "H", "H", "H"],
  "coordinates": [[2.552, 0.455, 0.326], [1.250, 0.317, 0.153], [0.269, 1.050, -0.396], [-0.897, 0.103, -0.200], [-1.880, 0.691, 0.579], [-0.065, -0.978, 0.362], [0.135, -2.056, -0.381], [-0.003, 1.952, -0.812], [-1.381, -0.231, -1.103], [0.019, -1.302, 1.472]],
  "e_lumo_ev": 1.00,
  "smiles": "FC1=C[C@H](F)[C@H]1F",
  "multiplicity": 1,
  "gap_ev": 11.3,
  "max_force_ev_per_a": 6.39,
  "de_lowest_kcal_mol": 44.7
}

---

2.
{
  "formula": "C8H24O8Rb",
  "method": "ωB97M-V with the def2-TZVPD basis set",
  "species": ["Rb", "C", "C", "O", "O", "H", "H", "H", "H", "H", "H", "C", "C", "O", "O", "H", "H", "H", "H", "H", "H", "C", "C", "O", "O", "H", "H", "H", "H", "H", "H", "C", "C", "O", "O", "H", "H", "H", "H", "H", "H"],
  "coordinates": [[1.008, -21.331, -3.384], [4.356, -15.042, -4.882], [3.587, -15.601, -6.028], [3.242, -16.970, -5.940], [5.066, -13.869, -5.235], [5.074, -15.756, -4.480], [3.682, -14.733, -4.083], [4.150, -15.506, -6.957], [2.726, -14.948, -6.171], [2.837, -17.187, -6.783], [4.608, -13.413, -5.945], [-0.970, -16.574, 0.212], [-2.366, -16.082, -0.070], [-2.633, -16.355, -1.469], [-0.933, -18.004, -0.001], [-0.837, -16.299, 1.258], [-0.328, -16.100, -0.531], [-2.492, -15.031, 0.191], [-3.151, -16.565, 0.512], [-2.045, -15.808, -1.995], [-1.512, -18.390, 0.660], [5.158, -21.397, 2.417], [5.360, -20.363, 1.267], [5.174, -21.140, 0.054], [6.272, -22.365, 2.444], [4.164, -21.844, 2.418], [5.316, -20.680, 3.223], [6.342, -19.892, 1.311], [4.529, -19.667, 1.380], [5.774, -21.863, 0.249], [6.071, -22.945, 3.182], [-1.221, -26.944, -4.678], [-1.543, -26.166, -5.983], [-1.831, -24.803, -5.852], [-0.946, -28.260, -4.887], [-2.099, -26.895, -4.034], [-0.353, -26.518, -4.176], [-2.342, -26.653, -6.543], [-0.664, -26.226, -6.624], [-2.669, -24.632, -6.288], [-0.225, -28.439, -4.280]],
  "total_charge": 1,
  "e_lumo_ev": -3.90,
  "multiplicity": 1,
  "gap_ev": 8.2,
  "max_force_ev_per_a": 3.08,
  "de_lowest_kcal_mol": 54.5
}

---
=====

Prior to the Ceremony

  • Faculty and doctoral students should arrive at the Breslin Center one hour before the ceremony.
  • Faculty and doctoral students should bring all necessary academic regalia. Faculty can find information on renting or purchasing regalia on the the Commencement webpage. Student information on renting or purchasing can be found at:
  • Colleges will assemble at their designated areas in the Auxiliary Gym, Mezzanine Level. College signs will be in place on the walls of the gym. A card with the name of the college printed on it will be made available to the associate dean to provide to the first student crossing the ramp. This will allow the College Dean to congratulate students at the end of the ramp after their names are read and the President has presented them with the token diploma.
  • Hooders (led by the Associate Dean) will line up the college's participants. The line-up order will be:
    1. Associate Dean
    2. Doctoral students and their selected hooders (Faculty members should walk behind their students)
    3. Doctoral students without accompanying hooders.

Doctoral students should carry their hoods over their right arms. Tassels are worn, and remain, on the left.

For the safety and security of all of our participants and guests, please be aware:
No bags or purses are allowed in any commencement facility..
NO food or beverages or other liquids are to be brought into Breslin Center. Please leave these items in your vehicle or discard before entering the facility.
For your family and guests, concession stands will open one hour prior to the start of the ceremony and remain open through the first hour of the ceremony. A limited menu will include hot and cold beverages and some snack items.

During the Ceremony

Inserted here: records of molecules =
┌──
[1]
Entry from the Open Molecules 2025 dataset: C21H27AsF6N2O10P2SV as an isolated structure (ωB97M-V/def2-TZVPD).

Element x y z (Å)
P1 3.06 -0.61 0.88
C1 3.26 1.32 2.98
H1 1.19 -5.04 1.88
C2 -0.84 4.25 -1.50
F1 -1.54 -1.68 0.32
H2 1.36 4.24 1.08
O1 0.65 1.03 3.80
C3 0.73 4.65 0.31
N1 3.73 -1.06 3.44
H3 -1.04 8.19 -3.15
C4 0.01 3.77 -0.49
H4 -4.80 -0.13 -4.08
H5 -1.00 -5.93 0.97
H6 2.89 1.34 0.03
C5 0.43 -3.67 -1.10
H7 3.14 -1.50 4.18
O2 4.12 -1.64 0.95
H8 0.64 -3.39 1.56
N2 -1.66 0.27 -3.04
H9 0.70 -6.35 -1.60
C6 2.81 -0.12 2.69
C7 -1.00 -5.14 0.21
O3 -1.68 6.31 -2.55
H10 4.28 1.46 2.63
C8 1.16 -4.25 1.14
H11 -0.31 1.06 3.93
O4 0.86 1.88 0.68
H12 4.11 -1.71 2.72
C9 0.14 2.31 -0.26
H13 1.19 6.72 0.76
O5 0.17 -1.05 2.46
F2 -2.95 -1.64 2.35
O6 -0.52 1.49 -0.98
H14 1.21 -6.78 0.04
C10 -0.21 6.48 -0.85
O7 3.63 0.74 0.22
O8 -0.48 7.76 -1.21
H15 2.19 -3.94 0.91
C11 0.63 6.03 0.14
C12 -0.93 5.60 -1.65
C13 -2.91 0.59 -3.42
H16 -1.54 -4.27 0.61
O9 1.48 -1.26 4.68
F3 -2.12 0.43 1.25
O10 1.76 -0.93 0.18
F4 -3.21 -0.30 -0.81
P2 1.13 -0.47 3.46
H17 -3.16 1.64 -3.38
S1 0.45 -1.18 -2.52
H18 -4.07 -2.52 -3.94
H19 2.62 2.02 2.46
C14 -2.10 -2.03 -3.31
C15 -3.38 -1.72 -3.70
F5 -3.92 -2.39 0.22
H20 -1.08 0.99 -2.56
H21 -1.41 3.57 -2.12
C16 1.19 -5.98 -0.70
F6 -4.54 -0.16 1.24
V1 -0.09 -0.07 0.62
H22 2.22 -5.72 -0.95
C17 -1.22 -1.00 -2.99
C18 0.45 -4.76 -0.12
H23 -2.37 8.16 -1.93
H24 -1.75 -3.05 -3.22
H25 4.51 -0.55 3.86
C19 -3.79 -0.39 -3.78
H26 -1.53 -5.50 -0.67
H27 3.19 1.53 4.04
As1 -3.11 -0.98 0.79
C20 -1.44 7.69 -2.26
C21 0.41 -2.71 -1.82

Computed properties:
E_LUMO (spin up / spin down) (eV): -0.9 / -0.9
Frontier orbital gap (spin up / spin down) (eV): 6.575 / 7.831
Energy above the lowest of the compared OMol25 structures with the same formula, charge and spin (kcal per mole): 0.0
Multiplicity: 4
Total charge: 0

[2]
Entry from the Open Molecules 2025 dataset: an isolated ion of composition C6H11N2O and charge +1 in a non-equilibrium geometry (ωB97M-V/def2-TZVPD).

Element x y z (Å)
C1 -1.00 0.99 -0.30
H1 -2.04 1.32 -0.90
H2 -0.90 -0.58 -1.64
C2 3.01 0.53 -0.37
C3 1.56 0.23 -0.36
H3 -1.38 2.47 1.06
H4 0.26 2.53 -0.73
H5 -0.19 1.27 1.60
N1 -0.10 1.69 -1.12
H6 1.11 -2.51 -0.94
H7 2.13 -2.22 0.15
C4 1.13 -2.06 -0.04
O1 3.61 1.15 0.45
C5 -1.19 1.49 1.15
H8 -1.28 -1.15 0.00
N2 0.73 -0.71 -0.20
H9 -1.88 0.83 1.56
H10 3.35 0.15 -1.41
C6 -0.70 -0.51 -0.63
H11 0.60 -2.54 0.65

Computed properties:
E_LUMO (spin up / spin down) (eV): -5.7 / -6.3
Frontier orbital gap (spin up / spin down) (eV): 8.564 / 7.948
Energy above the lowest of the compared OMol25 structures with the same formula, charge and spin (kcal per mole): 161.9
Total charge: +1

Repeat the second record exactly.
Entry from the Open Molecules 2025 dataset: an isolated ion of composition C6H11N2O and charge +1 in a non-equilibrium geometry (ωB97M-V/def2-TZVPD).

Element x y z (Å)
C1 -1.00 0.99 -0.30
H1 -2.04 1.32 -0.90
H2 -0.90 -0.58 -1.64
C2 3.01 0.53 -0.37
C3 1.56 0.23 -0.36
H3 -1.38 2.47 1.06
└──

  • The Provost will ask the Dean of the Graduate School (referred to as Graduate Dean in the remainder of this document) to direct the hooding of all doctoral students and will then present them to the President for conferral of their degrees. The hooding will proceed as follows:
    1. The Graduate Dean will ask all doctoral students to stand and turn around to face the audience. The Graduate Dean will instruct doctoral students to remain standing. The Graduate Dean will then instruct the Associate Deans of all colleges and other faculty who are hooding to rise and proceed to hood their students. All colleges will simultaneously hood their students in the seating areas. Note to DMA students in the band: step out from your seating area. Faculty will come to you for hooding. Join the Arts & Letters graduates as the Associate Dean leads group to the stage.
    2. After all doctoral students have been hooded, faculty should be seated and candidates should remain standing. The Graduate Dean will then ask doctoral students to turn around and face the stage, and present the students for their respective degrees.
  • The President will confer the degrees, and announce that the Associate Deans will lead the graduates to the stage. A commencement escort will lead the Associate Deans to the platform.
  • The first student of the college to cross the ramp will present the name-card reader with a card having the name of the college printed on it. The Associate Dean will have been given the college name card at assembly. Students will cross the ramp and have their names read and the President will present the token diploma. Students should return to their seats.
  • College Deans should look for the Associate Dean, appropriate hood color and/or listen as the name of the college is read. Please keep in mind that colleges will be arranged alphabetically. Upon identifying that the college's doctoral students are crossing the ramp, the Dean proceeds to the opposite end of the ramp to congratulate students (similar to the Dean's congratulation of master's degree students).
  • Associate Deans should return to their seats once all students from the college have been sent across the ramp.

Doctoral Hooding Instructions

  • Students will hand the hoods to a hooder.
  • With the hooding strings ("loopcord" on the velvet portion of the hood, see image at right and above) DOWN, two faculty members will carefully place the hoods over the student's head, being careful not to dislodge caps.
  • Next, the faculty members will quickly fluff out the colors on the back of the hood (see image below), and congratulate the student.
  • Faculty members should be seated when all students have been hooded.
  • For students attending without a faculty member: Hand your hood to one of the College Hooders who will place it over your head, fluff out the colors, and congratulate you.

Hooding String Hood showing fluffed colors Hooding string is located at the narrowest part of the velvet portion of the hood